Versions Compared


  • This line was added.
  • This line was removed.
  • Formatting was changed.


  • More categories and sub menus have been added for the commands to make it easier to find the commands you need
  • Some of the commands have been move to different menus where it makes sense
  • The Search Filter can be used to filter the list of available commands so you can just type in what you are looking for
  • An 'All Commands' section has been added that shows all the commands in a single list, useful when using the search filter
  • The parameter/variable menu has tabs added and split up the various selection so you don't need to scroll a lot to find things
  • The parameter/variable menu also works with the search filter to quickly find things
  • The Search filter also works in the script listing, and the various selection menus.

Script Constants

The script constants have been expanded with a large number of new constants.
The constants have also been grouped in collapsible groups rather than a single large list.
The search filter is also available to search by text

List Script Constants


There are a number of new datatypes available. Some related to the new features, others are useful for general scripting.


  • DATATYPE_AGENT - This is an agent object for use with diplomacy
  • DATATYPE_AGENTCOMMAND - This is a diplomacy task use by agents in diplomacy, similar to ship/station commands
  • DATATYPE_TABLE - See below for Table Info
  • DATATYPE_LOADOUTRET - This is a return value from the ship loadout script commands
  • DATATYPE_MERCHANT - This is for the merchant objects (Barter Menu) for use with script commands to control the barter system
  • DATATYPE_DEALER - Similar to Merchant, but used on the Black Market instead of Barter, most commands can use either merchant or dealer
  • DATATYPE_CARRIERROLE - This is the ship role for use with the carrier management, i.e. Fighter, Defender, Drone, etc
  • DATATYPE_COMMANDMENU - This is one of the sub menus in the ship command menu, i.e. Trade, Combat, General, etc. For use with script commands dealing with command menu changes
  • DATATYPE_GSUBTYPE - This is the Global Subtype class of objects, used by some ship/station information commands
  • DATATYPE_MAINTYPE - This is the main type of a variable in the script engine
  • DATATYPE_TIME - This is a time variable for using ms timing, there are various commands allowing you to manipulate time values
  • DATATYPE_XMLDATA - This stores a parsed xml data structure, for use with reading and writing xml files



Tables will store data based on keys, previously, you had some limited table support by using the global/local variables to store data in string keys, which used tables internally to store this. Now you have more access to the table system, and can use them locally within your scripts. Like arrays, tables are stored by reference, so passing tables between scripts, or storing them in local/global variables will store the pointer to the table, so the same table can be modified across multiple scripts.


NOTE: some of the new script commands will use tables as arguments or return values

**Attached: data records:**
........
# 1
Simulated powder X-ray diffraction pattern of BaGaAu2 for Cu Kα, 1.54184 Å, from a PBE-relaxed structure.

Atomic structure:
Unit cell a=4.737 b=4.737 c=20.799 alpha=90.00 beta=90.00 gamma=90.00
Space group P4_1 (No. 76)
Symmetry-distinct sites (fractional):
Ba 0.000 0.001 0.000 [4 per cell]
Ga 0.499 0.499 0.582 [4 per cell]
Au 0.001 0.500 0.878 [4 per cell]
Au 0.499 0.499 0.459 [4 per cell]

Largest 10 diffraction maxima, sorted by position, 15 to 90 degrees two-theta:
18.73 deg, I = 20.6; 20.60 deg, I = 67.5; 31.78 deg, I = 100.0; 31.99 deg, I = 23.2; 37.99 deg, I = 67.7; 39.54 deg, I = 41.7; 44.09 deg, I = 27.5; 54.81 deg, I = 23.5; 55.99 deg, I = 30.2; 64.76 deg, I = 26.6

---

# 2
Simulated powder X-ray diffraction pattern of BaGa12Au4 for Cu Kα, 1.54184 Å, from a PBE-relaxed structure.

Atomic structure:
Unit cell a=9.085 b=9.085 c=9.085 alpha=90.00 beta=90.00 gamma=90.00
Space group Im-3 (No. 204)
Symmetry-distinct sites (fractional):
Ba 0.000 0.000 0.000 [2 per cell]
Ga 0.000 0.357 0.150 [24 per cell]
Au 0.250 0.250 0.250 [8 per cell]

Largest 10 diffraction maxima, sorted by position, 15 to 90 degrees two-theta:
19.54 deg, I = 49.0; 27.78 deg, I = 100.0; 31.13 deg, I = 71.2; 34.19 deg, I = 22.8; 37.03 deg, I = 30.3; 44.61 deg, I = 78.0; 49.13 deg, I = 79.7; 51.28 deg, I = 32.1; 64.92 deg, I = 30.2; 78.85 deg, I = 21.0

---

# 3
Simulated powder X-ray diffraction pattern of Ba3Ga6Au5 for Cu Kα, 1.54184 Å, from a PBE-relaxed structure.

Atomic structure:
Unit cell a=4.572 b=13.207 c=11.404 alpha=90.00 beta=90.00 gamma=90.00
Space group Pmmn (No. 59, origin choice 2)
Symmetry-distinct sites (fractional):
Ba 0.250 0.093 0.250 [4 per cell]
Ba 0.250 0.750 0.247 [2 per cell]
Ga 0.250 0.060 0.903 [4 per cell]
Ga 0.250 0.250 0.005 [2 per cell]
Ga 0.250 0.250 0.513 [2 per cell]
Ga 0.250 0.574 0.490 [4 per cell]
Au 0.250 0.079 0.645 [4 per cell]
Au 0.250 0.631 0.984 [4 per cell]
Au 0.250 0.750 0.595 [2 per cell]

Largest 10 diffraction maxima, sorted by position, 15 to 90 degrees two-theta:
23.40 deg, I = 24.5; 25.56 deg, I = 26.9; 28.14 deg, I = 43.8; 30.59 deg, I = 69.4; 31.08 deg, I = 45.0; 32.30 deg, I = 100.0; 39.42 deg, I = 68.4; 40.20 deg, I = 25.1; 41.00 deg, I = 25.2; 42.63 deg, I = 39.4

---

# 4
Simulated powder X-ray diffraction pattern of Ba2GaH6Au for Cu Kα, 1.54184 Å, from a PBE-relaxed structure.

Atomic structure:
Unit cell a=5.582 b=5.582 c=9.438 alpha=90.00 beta=90.00 gamma=90.00
Space group I4mm (No. 107)
Symmetry-distinct sites (fractional):
Ba 0.000 0.500 0.000 [4 per cell]
Ga 0.000 0.000 0.290 [2 per cell]
H 0.000 0.000 0.108 [2 per cell]
H 0.000 0.000 0.574 [2 per cell]
H 0.239 0.239 0.795 [8 per cell]
Au 0.000 0.000 0.765 [2 per cell]

Largest 10 diffraction maxima, sorted by position, 15 to 90 degrees two-theta:
18.47 deg, I = 16.9; 29.50 deg, I = 100.0; 32.07 deg, I = 41.2; 38.14 deg, I = 11.7; 45.99 deg, I = 15.7; 50.66 deg, I = 20.2; 55.59 deg, I = 33.7; 61.23 deg, I = 11.7; 63.69 deg, I = 9.1; 82.06 deg, I = 9.1
........
**Here the entry continues:**

Parameter Definitions

There have been a number of Parameter Definitions added.
These are the selection list types for various things, used in the arguments of scripts to get input of a certain type, or for use with the get user input command.
Script commands themselves also use these to limit the parameter selection


  • Var/Agent Command
  • Var/Agent
  • Var/Table
  • Var/Array/Table
  • Var/LoadoutRet
  • Var/Merchant
  • Var/Dealer
  • Var/Merchant/Dealer
  • Var/CarrierRole
  • Var/CommandMenu
  • Var/Galaxy SubType
  • Var/Main Type
  • Var/Available Ware
  • Var/Space Object
  • Var/Player Station Type
  • Var/Property Group
  • Var/Turret Command
  • Var/Object/Turret Command
  • Var/HSAP
  • Var/Time
  • Var/Retired Agents
  • Var/Laser
  • Var/Shield
  • Var/Missile Type
  • Var/Goods
  • Var/Equipment
  • Var/XMLData
  • Var/Ship Command
  • Var/Custom Wing

Diplomacy Tasks

With the new diplomacy system, you can add your own tasks, this works similar to the command console custom commands where you first register a new command, then set the global map, to map that command with a script. To get input for the script, you can also assign a menu script, this will run the menu using the new input system then send the final arguments onto the diplomacy script. Diplomacy command scripts have the first argument as the Diplomat object that's running the command.


This displays a timer instead of the progress bar (use this for commands that run permanently)

Advanced Hotkeys

The hotkey system has been updated to allow customisation, 4 new script commands have been added:


"pressed" - This is sent when the hotkey is first pressed (doesn't repeat if you hold down the key)
"released" - This is sent when you release the hotkey
"short" - This is sent after "released" and indicates it was pressed for a short time
"long" - This is send after "released" and indicates it was pressed for a longer time
"double" - This is sent instead of a second "pressed" event when a hotkey is pressed twice in a short period of time

Script Commands

A large amount of new script commands has also been added, including some changes to existing ones
